Types of Ferrules and Their Applications with Drawn Arc Welding

As a broad category of manufacturing operations, stud welding has many applications. Even within the stud welding classification, there are various kinds of operations with specific applications and capabilities. Capacitor discharge stud welding, for example, is a rapid, lightweight weld best for studs with diameters under 3/8”. However, CD welding is extremely useful for quick, clean, and strong welds of smaller studs for a greater range of materials than other types of stud welding. Drawn arc welding, on the other hand, uses larger diameter studs for heavy industrial purposes and composite construction. No matter what kind of studs and applications you work with, Northland Fastening Systems has the tools, studs, accessories, and any other supplies you need. We also provide tool repair and maintenance for most models, and our own stud welding technicians offer expert advice for any project.

## Crystal structures that have nothing to do with the entry
This entry pairs a crystal structure of CsLiTe2 with its calculated X-ray powder pattern. Radiation: λ = 1.5418 Å (Cu Kα). Structure: the PBE geometry in Alexandria.

Main lines, sorted by position (10° ≤ 2θ ≤ 90°):
2θ (°)  Rel. int.
14.85  233
22.64  234
24.39  1000
27.59  341
30.54  215
31.82  239
32.24  186
35.53  195
35.72  429
51.16  310

Structural model:
Unit cell a=4.667 b=5.905 c=6.019 alpha=97.58 beta=90.10 gamma=90.07
Element x y z (fractional)
Cs 0.000 0.000 0.000
Li 0.999 0.500 0.500
Te 0.499 0.563 0.243
Te 0.500 0.437 0.757

---

This entry pairs a crystal structure of NaTmAgSn with its calculated X-ray powder pattern. Radiation: λ = 1.5418 Å (Cu Kα). Structure: the PBE geometry in Alexandria.

Main lines, sorted by position (10° ≤ 2θ ≤ 90°):
2θ (°)  Rel. int.
21.22  263
35.00  1000
41.29  145
50.33  177
55.21  63
62.77  363
67.06  48
73.93  112
77.94  48
84.49  161

Structural model:
Unit cell a=7.252 b=7.252 c=7.252 alpha=90.00 beta=90.00 gamma=90.00
Element x y z (fractional)
Na 0.000 0.000 0.000
Na 0.000 0.500 0.500
Na 0.500 0.000 0.500
Na 0.500 0.500 0.000
Tm 0.000 0.000 0.500
Tm 0.000 0.500 0.000
Tm 0.500 0.000 0.000
Tm 0.500 0.500 0.500
Ag 0.250 0.250 0.250
Ag 0.250 0.750 0.750
Ag 0.750 0.250 0.750
Ag 0.750 0.750 0.250
Sn 0.250 0.250 0.750
Sn 0.250 0.750 0.250
Sn 0.750 0.250 0.250
Sn 0.750 0.750 0.750

---

This entry pairs a crystal structure of CuBiPd4 with its calculated X-ray powder pattern. Radiation: λ = 1.5418 Å (Cu Kα). Structure: the PBE geometry in Alexandria.

Main lines, sorted by position (10° ≤ 2θ ≤ 90°):
2θ (°)  Rel. int.
21.49  91
38.44  1000
39.03  320
43.93  455
46.67  192
65.61  136
66.44  141
76.72  85
77.08  172
82.36  108

Structural model:
Unit cell a=4.817 b=8.791 c=4.891 alpha=90.00 beta=106.63 gamma=90.00
Element x y z (fractional)
Cu 0.000 0.000 0.000
Cu 0.000 0.500 0.500
Bi 0.500 0.000 0.500
Bi 0.500 0.500 0.000
Pd 0.001 0.169 0.501
Pd 0.001 0.331 0.001
Pd 0.499 0.661 0.499
Pd 0.499 0.839 0.999
Pd 0.501 0.161 0.001
Pd 0.501 0.339 0.501
Pd 0.999 0.669 0.999
Pd 0.999 0.831 0.499

---

This entry pairs a crystal structure of BaSrBiSbO6 with its calculated X-ray powder pattern. Radiation: λ = 1.5418 Å (Cu Kα). Structure: the PBE geometry in Alexandria.

Main lines, sorted by position (10° ≤ 2θ ≤ 90°):
2θ (°)  Rel. int.
20.71  168
29.22  1000
29.68  988
42.13  533
51.81  245
52.09  434
52.95  191
61.62  161
68.90  181
69.63  180

Structural model:
Unit cell a=6.022 b=6.022 c=6.022 alpha=61.01 beta=61.01 gamma=61.01
Element x y z (fractional)
Ba 0.000 0.000 0.000
Sr 0.486 0.486 0.486
Bi 0.748 0.748 0.748
Sb 0.249 0.249 0.249
O 0.033 0.543 0.422
O 0.101 0.474 0.939
O 0.422 0.033 0.543
O 0.474 0.939 0.101
O 0.543 0.422 0.033
O 0.939 0.101 0.474

---

This entry pairs a crystal structure of LiCuF6 with its calculated X-ray powder pattern. Radiation: λ = 1.5418 Å (Cu Kα). Structure: the PBE geometry in Alexandria.

Main lines, sorted by position (10° ≤ 2θ ≤ 90°):
2θ (°)  Rel. int.
21.10  364
21.53  1000

Drawn Arc Welding

If you’re working with drawn arc welding operations, you’re likely using ceramic ferrules. Ferrules are attached around the tip of the stud and control the flow of molten metal as the weld is performed. When a successful weld is completed, ferrules are quickly and cleanly removed with a hammer.


These ferrules are critical components of drawn arc stud fastening systems. Some common types of ferrules include:

Simulated powder XRD pattern of AgBr for Cu Kα (weighted mean of Kα1 and Kα2), from a crystal structure in the Materials Project, relaxed with PBE.

a b c (Å): 4.1122 4.1547 5.8458
angles (deg): 90.00 91.15 90.00
Positions (direct):
Ag (0.2085, 0.2500, 0.2399)
Ag (0.7915, 0.7500, 0.7601)
Br (0.2769, 0.2500, 0.7446)
Br (0.7231, 0.7500, 0.2554)

Top 10 peaks for 10 to 80 degrees two-theta, sorted by position:
30.59 deg, intensity 100; 43.51 deg, intensity 38; 44.11 deg, intensity 32; 54.02 deg, intensity 6; 54.17 deg, intensity 13; 55.14 deg, intensity 5; 63.69 deg, intensity 10; 71.82 deg, intensity 10; 71.94 deg, intensity 5; 72.77 deg, intensity 9

Simulated powder XRD pattern of AgBr for Cu Kα (weighted mean of Kα1 and Kα2), from a crystal structure in the Materials Project, relaxed with PBE.

a b c (Å): 3.6041 3.6041 3.6041
angles (deg): 90.00 90.00 90.00
Positions (direct):
Ag (0.0000, 0.0000, 0.0000)
Br (0.5000, 0.5000, 0.5000)

Top 7 peaks for 10 to 80 degrees two-theta, sorted by position:
24.70 deg, intensity 3; 35.22 deg, intensity 100; 43.49 deg, intensity 1; 50.66 deg, intensity 17; 57.15 deg, intensity 1; 63.20 deg, intensity 34; 74.46 deg, intensity 11

Simulated powder XRD pattern of AgBr for Cu Kα (weighted mean of Kα1 and Kα2), from a crystal structure in the Materials Project, relaxed with PBE.

a b c (Å): 4.4758 4.4758 4.4758
angles (deg): 60.00 60.00 60.00
Positions (direct):
Ag (0.0000, 0.0000, 0.0000)
Br (0.2500, 0.2500, 0.2500)

Top 10 peaks for 10 to 80 degrees two-theta, sorted by position:
24.36 deg, intensity 100; 28.20 deg, intensity 2; 40.30 deg, intensity 76; 47.65 deg, intensity 47; 49.91 deg, intensity 1; 58.31 deg, intensity 12; 64.13 deg, intensity 19; 66.01 deg, intensity 1; 73.26 deg, intensity 24; 78.52 deg, intensity 14

Simulated powder XRD pattern of Ag2H12C3S3Br2N6 for Cu Kα (weighted mean of Kα1 and Kα2), from a crystal structure in the Materials Project, relaxed with PBE.

a b c (Å): 4.4425 8.4071 22.0130
angles (deg): 90.00 101.08 90.00
Positions (direct):
Ag (0.0242, 0.0572, 0.1783)
Ag (0.0242, 0.9428, 0.6783)
Ag (0.9758, 0.0572, 0.3217)
Ag (0.9758, 0.9428, 0.8217)
H (0.1945, 0.3889, 0.1670)
H (0.1945, 0.6111, 0.6670)
H (0.3147, 0.4326, 0.7046)
H (0.3147, 0.5674, 0.2046)
H (0.3230, 0.1151, 0.5215)
H (0.3230, 0.8849, 0.0215)
H (0.3568, 0.3817, 0.5300)
H (0.3568, 0.6183, 0.0300)
H (0.4004, 0.4740, 0.9080)
H (0.4004, 0.5260, 0.4080)
H (0.4795, 0.0106, 0.4207)
H (0.4795, 0.9894, 0.9207)
H (0.5205, 0.0106, 0.0793)
H (0.5205, 0.9894, 0.5793)
H (0.5996, 0.4740, 0.5920)
H (0.5996, 0.5260, 0.0920)
H (0.6432, 0.3817, 0.9700)
H (0.6432, 0.6183, 0.4700)
H (0.6770, 0.1151, 0.9785)
H (0.6770, 0.8849, 0.4785)
H (0.6853, 0.4326, 0.7954)
H (0.6853, 0.5674, 0.2954)
H (0.8055, 0.3889, 0.3330)
H (0.8055, 0.6111, 0.8330)
C (0.4141, 0.2292, 0.9043)
C (0.4141, 0.7708, 0.4043)
C (0.5000, 0.3668, 0.2500)
C (0.5000, 0.6332, 0.7500)
C (0.5859, 0.2292, 0.5957)
C (0.5859, 0.7708, 0.0957)
S (0.1730, 0.2167, 0.8334)
Back to the entry

  • Flat ferrule: These ferrules are some of the most commonly used standard ferrule types. They are used when welding to a horizontal, flat surface such as sheet metal and beams. Standard flat ferrules come in a range of diameters, thread specifications, profiles, and fillets.
  • Vertical ferrule: Vertical ferrules are another standard ferrule type with specifications that are similar to flat ferrules. The main difference is that these are used when welding on a vertical surface. A vertical ferrule has a ring of half-teeth and half-solid ceramics to prevent molten metal from spilling through the teeth on the bottom while the weld is being performed.
  • Inside angle ferrule: Angled ferrules are used to install studs at varying angles, determined by the ferrule shape. Standard inside angle ferrules are typically used to install studs at a 90º angle.
  • Outside angle ferrule: These ferrules are used to contain molten metal and install studs on the opposite side of inside angle ferrules.
  • Side angle ferrule: Like inside angle ferrules, side angle ferrules are used to install studs at specific degrees. Side angles are almost always used to install studs at 45º.
  • Thru-hole decking ferrule: Studs that will be installed through decking to a steel beam use thru-hole decking ferrules with teeth wider than most standard ferrules. The wider space between ferrule teeth allows for more shielding gas and atmospheric exposure to create a hotter weld.
  • Specialty ferrules: There are many types of specialty ferrules, from aluminum welding ferrules to hydraulic port ferrules. A variety of more frequently-used specialty ferrules include radius, reduced base, thru-bore, rectangular, and square ferrules.

~~~
# 1
Rb2Li2CeS4: computed PXRD pattern (Cu Kα X-rays), based on a structure optimized by DFT (GGA-PBE).

Largest 12 diffraction maxima, low angle first, 10° ≤ 2θ ≤ 90°:
hkl	two_theta	I/Imax
2 0 0	12.49	26
2 0 1	20.26	22
1 1 0	22.15	41
2 0 -2	23.50	23
4 0 -1	23.96	24
3 1 -1	28.43	31
1 1 -2	31.63	100
3 1 1	33.60	28
5 1 -1	36.83	24
0 2 0	43.24	17
7 1 -2	48.65	16
3 1 3	52.74	16

```
data_Rb2Li2CeS4
_chemical_formula_sum 'Rb4 Li4 Ce2 S8'
_symmetry_space_group_name_H-M 'C 1 2/m 1'
_symmetry_Int_Tables_number 12
_cell_length_a 15.0469
_cell_length_b 4.1850
_cell_length_c 7.7016
_cell_angle_alpha 90.00
_cell_angle_beta 109.67
_cell_angle_gamma 90.00
loop_
_symmetry_equiv_pos_as_xyz
'x,y,z'
'-x,-y,-z'
'-x,y,-z'
'x,-y,z'
'x+1/2,y+1/2,z'
'-x+1/2,-y+1/2,-z'
'-x+1/2,y+1/2,-z'
'x+1/2,-y+1/2,z'
loop_
_atom_site_label
_atom_site_fract_x
_atom_site_fract_y
_atom_site_fract_z
Rb1 0.1390 0.0000 0.0649
Li1 0.1810 0.5000 0.4886
Ce1 0.0000 0.0000 0.5000
S1 0.0170 0.5000 0.2772
S2 0.1926 0.0000 0.6559
```

# 2
Tb8DyEr4: computed PXRD pattern (Cu Kα X-rays), based on a structure optimized by DFT (GGA-PBE).

Largest 12 diffraction maxima, low angle first, 10° ≤ 2θ ≤ 90°:
hkl	two_theta	I/Imax
0 2 1	28.74	16
0 0 9	29.30	32
0 2 4	31.45	100
2 0 5	32.98	38
1 0 10	35.74	8
2 0 8	38.99	32
2 2 0	50.58	30
0 2 13	52.30	15
2 2 9	59.53	20
4 0 4	60.78	16
0 4 5	61.71	7
2 4 4	82.92	16

```
data_Tb8DyEr4
_chemical_formula_sum 'Tb24 Dy3 Er12'
_symmetry_space_group_name_H-M 'R -3 m'
_symmetry_Int_Tables_number 166
_symmetry_space_group_name_Hall '-R 3 2"'
_cell_length_a 7.2189
_cell_length_b 7.2189
_cell_length_c 27.4357
_cell_angle_alpha 90.00
_cell_angle_beta 90.00
_cell_angle_gamma 120.00
loop_
_atom_site_label
_atom_site_fract_x
_atom_site_fract_y
_atom_site_fract_z
Tb1 0.0000 0.0000 0.2153
Tb2 0.0341 0.5170 0.7662
Dy1 0.0000 0.0000 0.5000
Er1 0.0000 0.0000 0.0000
Er2 0.0000 0.5000 0.0000
```

# 3
MnPtSe2: computed PXRD pattern (Cu Kα X-rays), based on a structure optimized by DFT (GGA-PBE).

Largest 12 diffraction maxima, low angle first, 10° ≤ 2θ ≤ 90°:
hkl	two_theta	I/Imax
0 0 1	15.46	100
1 0 0	22.58	30
1 0 1	27.48	91
1 1 1	35.85	80
1 0 2	38.87	18
1 1 2	45.42	85
2 0 0	46.10	43
2 0 1	48.91	21
2 1 1	54.51	28
2 0 3	68.43	17
3 1 1	78.62	16
3 1 2	84.91	28

```
data_MnPtSe2
_chemical_formula_sum 'Mn1 Pt1 Se2'
_symmetry_space_group_name_H-M 'P -4 m 2'
_symmetry_Int_Tables_number 115
_cell_length_a 3.9379
_cell_length_b 3.9379
_cell_length_c 5.7307
_cell_angle_alpha 90.00
_cell_angle_beta 90.00
_cell_angle_gamma 90.00
loop_
_symmetry_equiv_pos_as_xyz
'x,y,z'
'y,-x,-z'
'-x,-y,z'
'-y,x,-z'
'-x,y,z'
'-y,-x,-z'
'x,-y,z'
'y,x,-z'
loop_
_atom_site_label
_atom_site_fract_x
_atom_site_fract_y
_atom_site_fract_z
Mn1 0.0000 0.0000 0.0000
Pt1 0.5000 0.5000 0.0000
Se1 0.0000 0.5000 0.2778
```

# 4
TlCuAsS3: computed PXRD pattern (Cu Kα X-rays), based on a structure optimized by DFT (GGA-PBE).

Largest 12 diffraction maxima, low angle first, 10° ≤ 2θ ≤ 90°:
hkl	two_theta	I/Imax
0 0 2	17.65	39
~~~

To learn more about ferrules and drawn arc welding, contact Northland Fastening Systems at (651) 730-7770 or request a quote online to get started with us today.